Joy in the Journey 3-18-2020

It has become a season of uncertainty, for sure.  In just a few days the life we knew as normal, has changed significantly.  How long will it last?  Even though there are many ideas and hopes of the answer to that question, no one really knows.  I am not a person who tends to live in fear, and I am a believer in this advice from Matthew 6:34: “ Do not worry about tomorrow, for tomorrow will worry about itself.  Each day has enough trouble of its own.”

If you are tempted to feel hopeless and trapped in the fear of the future with all the changes happening, here are five truths to consider.  They are shared with us from a woman, Carol Kent, who I heard speak several years ago at a Women of Faith conference in Omaha, Nebraska.

   1.  Life is full of negative things that might happen.  Life is hard, and it shouldn’t surprise us that a fallen world will provide disappointment, painful losses, unfulfilled expectations and sadness.

2. As long as I choose a path of personal growth, I will face fearful situations.  The day that nothing happens that makes us feel a little bit afraid, we’d better watch out!  We may have quit breathing!  New opportunities and challenges bring numerous and sometimes fearful situations that we must deal with.

3. Acknowledging my anxieties is a positive first step.  Seek help from experts in an area of concern.  Or discuss your fears with a good friend or your spouse.  Be sure to listen to facts, and not dwell on “what ifs” and things that may never happen.

Attached: quantum chemistry results:
- - -
Density functional theory data (ωB97M-V/def2-TZVPD) for a 5-piece molecular cluster, C4H18O4 overall.

Last column: Mulliken charge in e.
Geometry (Å):
1 C 2.2637 0.0466 0.4577  -2.087
2 C -0.5109 -0.1765 -2.2548  -1.673
3 C 0.3137 0.4173 -1.0883  -0.232
4 C 1.2116 -0.6130 -0.4524  -0.210
5 H 2.9769 0.5652 -0.1845  0.456
6 H 2.7573 -0.7002 1.1035  0.520
7 H 1.8684 0.6254 1.2909  0.470
8 H -1.3941 0.3727 -2.5762  0.368
9 H -0.8755 -1.0765 -1.7771  0.376
10 H 0.1848 -0.2078 -3.0939  0.439
11 H -0.3883 0.8921 -0.3696  -0.052
12 H 0.9083 1.2764 -1.3891  0.295
13 H 0.7096 -1.3444 0.2414  0.217
14 H 1.6810 -1.3277 -1.1278  0.526
15 H -2.3270 -0.7234 -0.5992  0.284
16 H -2.4913 -0.6439 0.8798  0.365
17 O -2.4948 -1.3010 0.1554  -0.759
18 H 2.2711 2.7953 -1.2609  0.384
19 H 2.0264 2.6228 0.0694  0.329
20 O 1.7317 3.2664 -0.6006  -0.553
21 H -1.1202 0.7052 1.7027  -0.079
22 H -1.7844 1.2028 2.9552  0.663
23 O -1.9948 1.0289 2.0130  -0.903
24 H -2.2049 -1.9085 2.2660  0.300
25 H -1.7348 -3.1528 1.4128  0.349
26 O -1.5832 -2.6412 2.2268  -0.797

The gap between HOMO and LUMO (alpha / beta) is 0.106 / 0.397 Eh. The calculation puts the max |F| at 2.51 eV Å⁻¹. The calculation puts the HOMO energy (alpha / beta) at 0.63 / -7.51 eV. The value obtained for the energy relative to the best compared isomer or geometry (same formula, charge and spin) is 80.4 kJ/mol. Its multiplicity is 2. The lowest unoccupied orbital energy (alpha / beta) is 3.507 / 3.292 eV. Its net charge is -1.

***

Density functional theory data (ωB97M-V/def2-TZVPD) for one molecule with the formula C7H8FNO2.

Last column: Mulliken charge in e.
Geometry (Å):
1 C 2.1247 1.6209 0.8362  -0.628
2 C 1.7527 0.6638 0.0694  0.287
3 C 1.3665 -0.3071 -0.6620  -0.832
4 C 0.1473 -1.0563 -0.3856  0.363
5 C -0.2986 -1.3214 1.1088  -0.738
6 O -1.5824 -1.9363 1.0371  -0.512
7 N -1.1022 -0.3968 -0.9086  -0.137
8 C -1.4153 0.8167 -0.9244  0.955
9 C -1.2529 2.2164 -0.5783  -0.753
10 F -0.4409 2.8526 -1.5397  -0.209
11 O -2.4315 1.5087 -1.2746  -0.372
12 H 1.7232 2.6691 0.9069  0.291
13 H 2.6901 1.3123 1.7344  0.230
14 H 2.0794 -0.5934 -1.5159  0.244
15 H 0.0713 -2.0173 -0.8787  0.421
16 H -0.5775 -0.3398 1.5820  0.326
17 H 0.3980 -1.9383 1.6201  0.430
18 H -1.2946 -2.8522 0.9213  0.333
19 H -1.9575 -0.9014 -1.1482  0.300

The gap between HOMO and LUMO is 0.300 Eh. As for the SMILES: C=C=C[C@@H](CO)NC1=C(F)O1. The calculation puts the max |F| at 4.40 eV Å⁻¹. The calculation puts the HOMO energy at -7.93 eV. The value obtained for the energy relative to the best compared isomer or geometry (same formula, charge and spin) is 358.1 kJ/mol. The lowest unoccupied orbital energy is 0.224 eV. Its net charge is 0.

***

Density functional theory data (ωB97M-V/def2-TZVPD) for one molecule with the formula C4H4O3.

Last column: Mulliken charge in e.
Geometry (Å):
1 C -1.9137 0.0570 0.1431  -1.030
2 C -0.5431 -0.3373 -0.3171  0.695
3 O -0.2997 -1.1638 -1.1711  -0.532
4 C 0.6509 0.3528 0.3592  0.801
- - -

4.  An attitude of optimism will make today more enjoyable.  Seek out something humorous or an anecdote to think about.  Try to make a list of things that you see around you that you can be thankful for, no matter how small they may seem.  Reach out to someone who needs you; it will take your focus off yourself and things that may be causing anxiety.

5. Choosing a faith-filled decision is much less frightening than living with the underlying fear that comes from feeling helpless.  Moving out in faith may seem scary, risky, impossible, senseless, stretching, gut-wrenching and unnatural.  But its worth it!

Yes, we have to use common sense.  Yes, we must listen to advice from those who are “in the know”, and then decide for ourselves how to best contend with the circumstances.  One of the most comforting passages of scripture for me is in Philippians 4: 6-7  “ Do not be anxious about anything, but in everything, by prayer and petition, with thanksgiving, present your requests to God.  And the peace of God, which transcends all understanding, will guard your hearts and your minds in Christ Jesus.”

Of course we will worry at times, but we don’t have to live in that state or remain in it after we have prayed and asked for help.  The peace that only God can give, will give us a clear and settled mind and heart, if we truly ask, believing it will happen.  Continue to live, standing firm, and knowing that many battles that are bigger than we can handle on our own, are God’s to fight.  He simply asks us to not be afraid or discouraged, but to trust and obey.  Not an easy task on our own, but with His help, we can accomplish it.